Adding Open Banking (Self-Hosted mode) as a payment option to your Payment Page requires configuration as outlined below. In Self-Hosted mode you must develop your own user interface.


Note that the approach and sequence of API calls varies for Merchants (who are accessing the services for themselves) and Partners who are accessing the service on behalf of their merchants.

A detailed overview of the various steps involved in the SELF-HOSTED flow is provided for Merchant users in the image below.
Self-Hosted Flow
SELF_HOSTED Merchant Flow
To add Open Banking to your payment page you will need to carry out the following steps:
  1. (Optionally) Use your API key to retrieve a merchant access token. (For more on this, see retrieving tokens).
  2. Call GET /banks to retrieve a list of all supported banks (see Retrieve Banks) to populate your Bank Selection screen. Where banks have specific branches (bank families), you will also need to call the View Bank Families endpoint. (See the section on Bank Families below for more information on this).
  3. Once the payer has selected a bank, call the /payments endpoint (see Create Payment). Set the integrationType to SELF_HOSTED, specify the bankId provided by the payer, and set the merchantPostAuthUrl (this can be the partner or merchant URL). This will return the aspspAuthUrl, to which you can redirect your PSU.
  4. Your payer interacts with the selected ASPSP to authorize the payment.
  5. The Nuapay TPP posts the payment ID to the partner/merchant URL (merchantPostAuthUrl). See posting details below.
  6. Use Retrieve Payment to determine the final payment status, if required (an optional step) or, alternatively, use Webhooks.
A detailed overview of the various steps involved in the SELF-HOSTED flow is provided in the image below for Partner users:
Self-Hosted Flow
SELF_HOSTED Partner Flow
  1. Use your partner-level API key to retrieve a token representing the required merchant. (For more on this, see list organisations and retrieving tokens).
  2. Call the /payments endpoint (see Create Payment), on behalf of the merchant, using the OAuth token retrieved in the previous step.
  3. Set the integrationType to REDIRECT. You must also provide the merchantPostAuthUrl - this is mandatory for the Redirect flow.
  4. The TPP creates the payment object and returns the userInterfacePaymentId.
  5. The PSU then needs to be redirected to the URL with the userInterfacePaymentId. You must build a URI that can be used on a web page or sent by an email to the end user. The URL will be similar to the following (on the Production environment):
  6. The end user clicks the link, and the Nuapay TPP (with the Bank selection window) is displayed in a new browser window.
  7. When the user selects a bank, he/she is redirected to the selected ASPSP to authorize the payment.
  8. The ASPSP redirects the PSU back to the TPP UI, which processes that callback.
  9. The TPP UI then redirects the PSU to the merchantPostAuthUrl with the parameter paymentId.
  10. Use Retrieve Payment to determine the final payment status. (This integration also supports webhooks so you can be informed when the payment is completed).

Merchant Post-Auth URL Handling

The merchant merchantPostAuthUrl is sent as follows:

The payload of this request that you need to process includes:

Headers e.g. Content-Type: application/x-www-form-urlencoded
Body e.g. endToEndIdentification=d8e17bf1f3244e5f96a869f9661a2a6&paymentId=gabxl3knbl

Please note that the ‘paymentId’ allows you to look up the payment associated with this callback.

User Interface Guidelines

Note that:

  • In SELF_HOSTED mode you have control over the User Interface design of your application.
  • It is important that your design incorporates links to the Nuapay “Terms of Service” and “About” pages.
  • These pages provide useful information to your PSUs in regard to Nuapay and our license details, as issued by the Financial Conduct Authority (in the UK) and by the ACPR (in the EU).

Please use the following links:

Terms of Service

Bank Families

In STET and Berlin Group:

  • Some ASPSPs are individually configured with a URL and token endpoint per regional bank.
  • For example Credit Agricole in France (which follows the STET specification) has 44 distinct regional banks.
  • Rendering individual regional banks on a user interface is problematic as, in the Credit Agricole example, this would result in 44 individual bank options.
  • In practice this would mean 44 identical icons on a Bank Selection screen (with the PSU having to find his/her specific branch by scrolling though a large list).

When designing your user interface, we recommend that you use the Retrieve Banks and the View Bank Families endpoints so that when a PSU selects a bank that has a number of regional banks (branches) linked to it, the user is provided with an option to select the required branch.

In REDIRECT mode (i.e. where Nuapay manages the User Interface), the bank/branch selection screens are handled as follows:

  1. The user selects a bank that has a number of branches linked to it (in the call to Retrieve Banks, bankfamilyId is populated for Credit Agricole, for example).
  2. The bank is rendered once, as in the image below and appears like any other bank icon on screen:
    Bank with Bank Family Selected
  3. When the PSU selects this bank, a screen allowing the user to select his/her required branch is displayed:
    Bank Family drop-down
  4. Once the user selects the required branch (bank family), the payment flow continues as normal.

QR Code Solution

QR codes are a great way to initiate an Open Banking payment, via the SELF-HOSTED implementation option.

  • Incorporating QR code-based payment initiation in your Open Banking application can unlock seamless and secure payment experiences for both in-store and online purchases.
  • The generated QR code can be provided to a user on a Web site, in an email, or at a physical point-of-sale terminal, for example.
  • By scanning a QR code, users are guided through a streamlined flow, selecting their bank and authorizing the transaction directly.
  • This approach enhances user convenience and minimizes manual entry errors, making it especially valuable for businesses aiming to improve checkout speed, reduce cart abandonment, or simplify bill payment processes.

The following describes the steps:

Generate the QR Code:

  • The QR code will contain a URL pointing to your application’s backend service, which will initiate the payment process.
  • This URL should include a unique identifier (e.g., a payment request ID) that your backend can use to retrieve the necessary payment details.

Backend Logic (POST /payments Endpoint):

  • When the user scans the QR code, their device will access the URL and trigger a request to your backend service.
  • Your backend should then utilize the POST /payments endpoint to create a new payment request with the Nuapay TPP API.
  • The request body should include all essential payment details, such as the merchant ID, payment amount, currency, order details, and redirect URLs for success and failure scenarios.
  • Crucially, the integrationType parameter should be set to SELF_HOSTED for this use case.
  • The bankId parameter will be determined in the next step and included in this request.

Bank Selection Screen:

These materials data were left in the entry by mistake:
┌──
A plane-wave DFT calculation with PBE was carried out for crystalline LiAg2HgF6 at its relaxed geometry.

Results
Total magnetization (μB/f.u.): 0.867
Energy relative to the elements, uncorrected (eV/atom): -1.521
Crystal system: monoclinic

a b c (Å): 5.513 5.938 8.645
angles (deg): 90.00 89.38 90.00
Each line ends with the local moment (μB).
Sites, in units of the cell vectors:
Ag 0.477 0.426 0.274  0.27
Ag 0.977 0.074 0.774  0.27
Ag 0.023 0.926 0.226  0.27
Ag 0.523 0.574 0.726  0.27
F 0.341 0.906 0.771  0.09
F 0.710 0.307 0.568  0.03
F 0.841 0.594 0.271  0.09
F 0.320 0.723 0.093  0.04
F 0.790 0.807 0.932  0.03
F 0.159 0.406 0.729  0.09
F 0.680 0.277 0.907  0.04
F 0.180 0.223 0.407  0.04
F 0.210 0.193 0.068  0.03
F 0.820 0.777 0.593  0.04
F 0.659 0.094 0.229  0.09
F 0.290 0.693 0.432  0.03
Li 0.500 0.000 0.000  0.00
Li 0.000 0.500 0.500  0.00
Hg 0.500 0.000 0.500  0.00
Hg 0.000 0.500 0.000  0.00

***

A plane-wave DFT calculation with PBE was carried out for crystalline LiAgHgF6 at its relaxed geometry.

Results
Total magnetization (μB/f.u.): 2.015
Energy relative to the elements, uncorrected (eV/atom): -1.557
Crystal system: tetragonal

a b c (Å): 5.035 5.035 10.222
angles (deg): 90.00 90.00 90.00
Each line ends with the local moment (μB).
Sites, in units of the cell vectors:
F 0.799 0.201 0.821  0.17
F 0.298 0.298 0.678  0.18
F 0.180 0.820 0.501  0.17
F 0.299 0.299 0.321  0.17
F 0.702 0.702 0.678  0.18
F 0.820 0.180 0.501  0.17
F 0.798 0.202 0.178  0.18
F 0.701 0.701 0.321  0.17
F 0.680 0.680 0.001  0.17
F 0.202 0.798 0.178  0.18
F 0.320 0.320 0.001  0.17
F 0.201 0.799 0.821  0.17
Hg 0.500 0.500 0.499  0.06
Hg 0.000 0.000 0.999  0.06
Ag 0.000 0.000 0.333  0.86
Ag 0.500 0.500 0.833  0.86
Li 0.500 0.500 0.167  0.00
Li 0.000 0.000 0.667  0.00

***

A plane-wave DFT calculation with PBE was carried out for crystalline LiAgHg2F8 at its relaxed geometry.

Results
Total magnetization (μB/f.u.): 0.000
Energy relative to the elements, uncorrected (eV/atom): -1.516
Crystal system: triclinic

a b c (Å): 4.205 5.391 7.791
angles (deg): 84.97 91.72 95.54
Sites, in units of the cell vectors:
F 0.361 0.267 0.495
F 0.091 0.708 0.231
F 0.160 0.844 0.721
F 0.643 0.761 0.962
F 0.639 0.733 0.505
F 0.357 0.239 0.038
F 0.840 0.156 0.279
F 0.909 0.292 0.769
Li 0.000 0.000 0.000
Ag 0.000 0.000 0.500
Hg 0.438 0.471 0.774
Hg 0.562 0.529 0.226

***

A plane-wave DFT calculation with PBE was carried out for crystalline LiAgHgF4 at its relaxed geometry.

Results
Total magnetization (μB/f.u.): 0.000
Energy relative to the elements, uncorrected (eV/atom): -1.696
Crystal system: orthorhombic

a b c (Å): 6.148 6.663 7.208
angles (deg): 122.74 90.00 117.48
Sites, in units of the cell vectors:
F 0.762 0.041 0.270
F 0.278 0.041 0.270
F 0.254 0.508 0.700
F 0.238 0.959 0.730
F 0.746 0.492 0.692
F 0.746 0.492 0.300
F 0.254 0.508 0.308
F 0.722 0.959 0.730
Hg 0.500 0.000 0.000
Hg 0.500 0.000 0.500
Ag 0.181 0.361 0.931
Ag 0.819 0.639 0.069
Li 0.500 0.500 0.500
Li 0.000 0.500 0.500
└──

  • Upon successful creation of the payment request, the POST /payments endpoint will return a response containing an aspspAuthUrl.
  • This URL is the authorization URL for the chosen bank’s online banking system.
  • Your backend should redirect the user to this aspspAuthUrl.
  • The user will then be presented with a list of banks on the screen.
  • The user selects their bank, which determines the bankId value.

User Authentication and Approval:

  • Once the user selects their bank, they are redirected to their bank’s online banking system for authentication.
  • After successful authentication, the user reviews the payment details and approves the transaction within their banking environment.

Callback Handling (POST /payments/callback Endpoint):

  • Following user authorization, the bank redirects the user back to the merchantPostAuthUrl provided in the initial POST /payments request.
  • This URL should point to your backend service’s callback endpoint.
  • The bank will include parameters in this redirect, which your backend should forward to the POST /payments/callback endpoint.
  • This endpoint handles the authorization response and provides a redirect URL to the appropriate page on your application, depending on the success or failure of the authorization.

Payment Status Updates:

  • Your backend should periodically use the GET /payments/{paymentId} endpoint to check the status of the payment.
  • Once the payment status transitions to AUTHORISED or another final state, your backend can update the order status in your system and provide feedback to the user.